Given:
~~~
# K2CuIr (PBE, relaxed)
data_K2CuIr
_symmetry_space_group_name_H-M 'C 1 m 1'
_symmetry_Int_Tables_number 8
_cell_length_a 12.467
_cell_length_b 2.732
_cell_length_c 6.105
_cell_angle_alpha 90.00
_cell_angle_beta 106.58
_cell_angle_gamma 90.00
loop_
_symmetry_equiv_pos_as_xyz
'x,y,z'
'x,-y,z'
'x+1/2,y+1/2,z'
'x+1/2,-y+1/2,z'
loop_
_atom_site_label
_atom_site_fract_x
_atom_site_fract_y
_atom_site_fract_z
_atom_site_occupancy
K1 0.000 0.000 0.000 1
K2 0.196 0.000 0.608 1
Cu1 0.415 0.000 0.433 1
Ir1 0.267 0.500 0.154 1
# Fermi-level density of states = 2.42 states/eV/f.u.
# offset from the most stable computed form = 109.8 meV/atom
# size of the total moment = 0.00 μB/cell
# final energy = -3.215 eV/atom
# V = 199.3 Å³/cell

# K2CuIr (PBE, relaxed)
data_K2CuIr
_symmetry_space_group_name_H-M 'C m m m'
_symmetry_Int_Tables_number 65
_symmetry_space_group_name_Hall '-C 2 2'
_cell_length_a 6.123
_cell_length_b 10.358
_cell_length_c 2.792
_cell_angle_alpha 90.00
_cell_angle_beta 90.00
_cell_angle_gamma 90.00
loop_
_atom_site_label
_atom_site_fract_x
_atom_site_fract_y
_atom_site_fract_z
_atom_site_occupancy
K1 0.250 0.250 0.000 1
Cu1 0.000 0.000 0.500 1
Ir1 0.000 0.500 0.500 1
# Fermi-level density of states = 2.69 states/eV/f.u.
# offset from the most stable computed form = 377.4 meV/atom
# size of the total moment = 0.01 μB/cell
# final energy = -2.947 eV/atom
# V = 177.0 Å³/cell

# K2CuIr (PBE, relaxed)
data_K2CuIr
_symmetry_space_group_name_H-M 'F -4 3 m'
_symmetry_Int_Tables_number 216
_symmetry_space_group_name_Hall 'F -4 2 3'
_cell_length_a 7.112
_cell_length_b 7.112
_cell_length_c 7.112
_cell_angle_alpha 90.00
_cell_angle_beta 90.00
_cell_angle_gamma 90.00
loop_
_atom_site_label
_atom_site_fract_x
_atom_site_fract_y
_atom_site_fract_z
_atom_site_occupancy
K1 0.000 0.000 0.000 1
K2 0.250 0.250 0.250 1
Cu1 0.250 0.250 0.750 1
Ir1 0.000 0.000 0.500 1
# Fermi-level density of states = 8.14 states/eV/f.u.
# offset from the most stable computed form = 415.0 meV/atom
# size of the total moment = 0.00 μB/cell
# final energy = -2.910 eV/atom
# V = 359.7 Å³/cell

# K2CuIr2 (PBE, relaxed)
data_K2CuIr2
_symmetry_space_group_name_H-M 'P 4/m b m'
_symmetry_Int_Tables_number 127
_symmetry_space_group_name_Hall '-P 4 2ab'
_cell_length_a 9.828
_cell_length_b 9.828
_cell_length_c 2.551
_cell_angle_alpha 90.00
_cell_angle_beta 90.00
_cell_angle_gamma 90.00
loop_
_atom_site_label
_atom_site_fract_x
_atom_site_fract_y
_atom_site_fract_z
_atom_site_occupancy
K1 0.125 0.375 0.000 1
Cu1 0.000 0.000 0.000 1
Ir1 0.174 0.674 0.500 1
# Fermi-level density of states = 3.32 states/eV/f.u.
# offset from the most stable computed form = 691.1 meV/atom
# size of the total moment = 0.51 μB/cell
# final energy = -3.517 eV/atom
# V = 246.4 Å³/cell

# K2CuIr2 (PBE, relaxed)
data_K2CuIr2
_symmetry_space_group_name_H-M 'I 4/m m m'
_symmetry_Int_Tables_number 139
_symmetry_space_group_name_Hall '-I 4 2'
_cell_length_a 3.565
_cell_length_b 3.565
_cell_length_c 20.687
_cell_angle_alpha 90.00
_cell_angle_beta 90.00
_cell_angle_gamma 90.00
loop_
_atom_site_label
_atom_site_fract_x
_atom_site_fract_y
_atom_site_fract_z
_atom_site_occupancy
K1 0.000 0.000 0.110 1
Cu1 0.000 0.000 0.500 1
Ir1 0.000 0.500 0.250 1
# Fermi-level density of states = 3.22 states/eV/f.u.
# offset from the most stable computed form = 0.0 meV/atom
# size of the total moment = 0.00 μB/cell
# final energy = -4.208 eV/atom
# V = 262.9 Å³/cell

# K2CuIr (PBE, relaxed)
data_K2CuIr
_symmetry_space_group_name_H-M 'P 1 m 1'
_symmetry_Int_Tables_number 6
_cell_length_a 2.885
_cell_length_b 4.109
_cell_length_c 9.822
_cell_angle_alpha 90.00
_cell_angle_beta 96.96
_cell_angle_gamma 90.00
loop_
_symmetry_equiv_pos_as_xyz
'x,y,z'
'x,-y,z'
loop_
_atom_site_label
_atom_site_fract_x
_atom_site_fract_y
_atom_site_fract_z
_atom_site_occupancy
K1 0.000 0.000 0.000 1
K2 0.209 0.500 0.558 1
Cu1 0.108 0.500 0.256 1
Ir1 0.625 0.000 0.302 1
# Fermi-level density of states = 3.31 states/eV/f.u.
~~~

Exercise:
It remains to write out the whole of the rows earlier on without altering anything.

Response:
# K2CuIr (PBE, relaxed)
data_K2CuIr
_symmetry_space_group_name_H-M 'C 1 m 1'
_symmetry_Int_Tables_number 8
_cell_length_a 12.467
_cell_length_b 2.732
_cell_length_c 6.105
_cell_angle_alpha 90.00
_cell_angle_beta 106.58
_cell_angle_gamma 90.00
loop_
_symmetry_equiv_pos_as_xyz
'x,y,z'
'x,-y,z'
'x+1/2,y+1/2,z'
'x+1/2,-y+1/2,z'
loop_
_atom_site_label
_atom_site_fract_x
_atom_site_fract_y
_atom_site_fract_z
_atom_site_occupancy
K1 0.000 0.000 0.000 1
K2 0.196 0.000 0.608 1
Cu1 0.415 0.000 0.433 1
Ir1 0.267 0.500 0.154 1
# Fermi-level density of states = 2.42 states/eV/f.u.
# offset from the most stable computed form = 109.8 meV/atom
# size of the total moment = 0.00 μB/cell
# final energy = -3.215 eV/atom
# V = 199.3 Å³/cell

# K2CuIr (PBE, relaxed)
data_K2CuIr
_symmetry_space_group_name_H-M 'C m m m'
_symmetry_Int_Tables_number 65
_symmetry_space_group_name_Hall '-C 2 2'
_cell_length_a 6.123
_cell_length_b 10.358
_cell_length_c 2.792
_cell_angle_alpha 90.00
_cell_angle_beta 90.00
_cell_angle_gamma 90.00
loop_
_atom_site_label
_atom_site_fract_x
_atom_site_fract_y
_atom_site_fract_z
_atom_site_occupancy
K1 0.250 0.250 0.000 1
Cu1 0.000 0.000 0.500 1
Ir1 0.000 0.500 0.500 1
# Fermi-level density of states = 2.69 states/eV/f.u.
# offset from the most stable computed form = 377.4 meV/atom
# size of the total moment = 0.01 μB/cell
# final energy = -2.947 eV/atom
# V = 177.0 Å³/cell

# K2CuIr (PBE, relaxed)
data_K2CuIr
_symmetry_space_group_name_H-M 'F -4 3 m'
_symmetry_Int_Tables_number 216
_symmetry_space_group_name_Hall 'F -4 2 3'
_cell_length_a 7.112
_cell_length_b 7.112
_cell_length_c 7.112
_cell_angle_alpha 90.00
_cell_angle_beta 90.00
_cell_angle_gamma 90.00
loop_
_atom_site_label
_atom_site_fract_x
_atom_site_fract_y
_atom_site_fract_z
_atom_site_occupancy
K1 0.000 0.000 0.000 1
K2 0.250 0.250 0.250 1
Cu1 0.250 0.250 0.750 1
Ir1 0.000 0.000 0.500 1
# Fermi-level density of states = 8.14 states/eV/f.u.
# offset from the most stable computed form = 415.0 meV/atom
# size of the total moment = 0.00 μB/cell
# final energy = -2.910 eV/atom
# V = 359.7 Å³/cell

# K2CuIr2 (PBE, relaxed)
data_K2CuIr2
_symmetry_space_group_name_H-M 'P 4/m b m'
_symmetry_Int_Tables_number 127
_symmetry_space_group_name_Hall '-P 4 2ab'
_cell_length_a 9.828
_cell_length_b 9.828
_cell_length_c 2.551
_cell_angle_alpha 90.00
_cell_angle_beta 90.00
_cell_angle_gamma 90.00
loop_
_atom_site_label
_atom_site_fract_x
_atom_site_fract_y
_atom_site_fract_z
_atom_site_occupancy
K1 0.125 0.375 0.000 1
Cu1 0.000 0.000 0.000 1
Ir1 0.174 0.674 0.500 1
# Fermi-level density of states = 3.32 states/eV/f.u.
# offset from the most stable computed form = 691.1 meV/atom
# size of the total moment = 0.51 μB/cell
# final energy = -3.517 eV/atom
# V = 246.4 Å³/cell

# K2CuIr2 (PBE, relaxed)
data_K2CuIr2
_symmetry_space_group_name_H-M 'I 4/m m m'
_symmetry_Int_Tables_number 139
_symmetry_space_group_name_Hall '-I 4 2'
_cell_length_a 3.565
_cell_length_b 3.565
_cell_length_c 20.687
_cell_angle_alpha 90.00
_cell_angle_beta 90.00
_cell_angle_gamma 90.00
loop_
_atom_site_label
_atom_site_fract_x
_atom_site_fract_y
_atom_site_fract_z
_atom_site_occupancy
K1 0.000 0.000 0.110 1
Cu1 0.000 0.000 0.500 1
Ir1 0.000 0.500 0.250 1
# Fermi-level density of states = 3.22 states/eV/f.u.
# offset from the most stable computed form = 0.0 meV/atom
# size of the total moment = 0.00 μB/cell
# final energy = -4.208 eV/atom
# V = 262.9 Å³/cell

# K2CuIr (PBE, relaxed)
data_K2CuIr
_symmetry_space_group_name_H-M 'P 1 m 1'
_symmetry_Int_Tables_number 6
_cell_length_a 2.885
_cell_length_b 4.109
_cell_length_c 9.822
_cell_angle_alpha 90.00
_cell_angle_beta 96.96
_cell_angle_gamma 90.00
loop_
_symmetry_equiv_pos_as_xyz
'x,y,z'
'x,-y,z'
loop_
_atom_site_label
_atom_site_fract_x
_atom_site_fract_y
_atom_site_fract_z
_atom_site_occupancy
K1 0.000 0.000 0.000 1
K2 0.209 0.500 0.558 1
Cu1 0.108 0.500 0.256 1
Ir1 0.625 0.000 0.302 1
# Fermi-level density of states = 3.31 states/eV/f.u.